• Given:
PBEsol Li2ZrSn, relaxed; total DFT energy (no corrections) = -4.3597 eV/atom; magnetization = 0.97 Bohr magnetons per cell
1.0
-1.246 -1.381 -3.583
0.442 -3.794 1.308
-9.594 2.618 4.602
Zr Li Sn
2 4 2
direct
0.500 0.500 0.000 Zr
0.750 0.250 0.500 Zr
0.625 0.646 0.750 Li
0.354 0.875 0.250 Li
0.125 0.104 0.750 Li
0.896 0.375 0.250 Li
0.250 0.750 0.500 Sn
0.000 0.000 0.000 Sn

=====

PBEsol KPH5C2S2N3O3, relaxed; total DFT energy (no corrections) = -6.2494 eV/atom; magnetization = 0.00 Bohr magnetons per cell
1.0
6.472 0.051 -0.041
0.777 6.929 0.069
1.972 -0.102 10.292
O S P C K N H
6 4 2 4 2 6 10
direct
0.194 0.600 0.069 O
0.806 0.400 0.931 O
0.099 0.280 0.610 O
0.410 0.143 0.874 O
0.590 0.857 0.126 O
0.901 0.720 0.390 O
0.331 0.648 0.606 S
0.669 0.352 0.394 S
0.816 0.837 0.685 S
0.184 0.163 0.315 S
0.098 0.788 0.732 P
0.902 0.212 0.268 P
0.309 0.003 0.865 C
0.195 0.704 0.970 C
0.691 0.997 0.135 C
0.805 0.296 0.030 C
0.321 0.661 0.295 K
0.679 0.339 0.705 K
0.073 0.680 0.881 N
0.927 0.320 0.119 N
0.677 0.150 0.050 N
0.818 0.005 0.223 N
0.323 0.850 0.950 N
0.182 0.995 0.777 N
0.833 0.886 0.288 H
0.969 0.573 0.901 H
0.881 0.763 0.483 H
0.172 0.399 0.607 H
0.427 0.857 0.016 H
0.167 0.114 0.712 H
0.031 0.427 0.099 H
0.119 0.237 0.517 H
0.828 0.601 0.393 H
0.573 0.143 0.984 H

=====

PBEsol CsRb2CdB, relaxed; total DFT energy (no corrections) = -1.6749 eV/atom; magnetization = 0.07 Bohr magnetons per cell
1.0
-1.164 2.576 -3.411
-4.905 -4.282 -1.561
-4.204 3.366 3.977
Rb B Cs Cd
2 1 1 1
direct
0.000 0.000 0.500 Rb
0.000 0.500 0.000 Rb
0.000 0.000 0.000 B
0.500 0.500 0.500 Cs
0.500 0.000 0.000 Cd

=====

PBEsol RbIn2As2, relaxed; total DFT energy (no corrections) = -3.6821 eV/atom; magnetization = 0.00 Bohr magnetons per cell
1.0
-0.948 -1.583 4.679
3.803 -3.275 -0.338
1.892 6.087 -0.261
In As Rb
2 2 1
direct
0.634 0.634 0.268 In
0.366 0.366 0.732 In
0.750 0.250 0.500 As
0.250 0.750 0.500 As
0.000 0.000 0.000 Rb

=====

PBEsol Sm2Zn6Ge3, relaxed; total DFT energy (no corrections) = -3.5798 eV/atom; magnetization = 0.00 Bohr magnetons per cell
1.0
-2.683 0.821 -2.852
-4.791 -4.852 3.112
-0.047 7.191 2.114
Zn Ge Sm
6 3 2
direct
0.500 0.285 0.285 Zn
0.000 0.810 0.810 Zn
0.500 0.715 0.000 Zn
0.500 0.000 0.715 Zn
0.000 0.000 0.190 Zn
0.000 0.190 0.000 Zn
0.500 0.386 0.000 Ge
0.500 0.000 0.386 Ge
0.500 0.614 0.614 Ge
0.000 0.667 0.333 Sm
0.000 0.333 0.667 Sm

=====

PBEsol PrAl22O34, relaxed; ΔE_f (raw) = -3.014 eV per atom; total DFT energy (no corrections) = -7.8157 eV/atom; magnetization = 1.00 Bohr magnetons per cell; offset from the most stable computed form = 0.000 eV per atom
1.0
-3.970 -3.815 1.076
5.947 -4.401 6.294
-5.904 7.937 6.247
O Al Pr
34 22 1
direct
0.498 0.797 0.887 O
0.501 0.314 0.900 O
0.250 0.157 0.713 O
0.750 0.655 0.711 O
0.267 0.453 0.102 O
0.764 0.955 0.099 O
0.503 0.591 0.285 O
0.504 0.403 0.709 O
0.744 0.339 0.290 O
0.002 0.298 0.892 O
0.004 0.593 0.293 O
0.736 0.454 0.101 O
0.238 0.955 0.100 O
0.498 0.203 0.108 O
0.253 0.847 0.294 O
0.501 0.690 0.101 O
0.751 0.158 0.713 O
0.263 0.343 0.300 O
0.235 0.045 0.899 O
0.499 0.903 0.705 O
0.001 0.094 0.283 O
0.000 0.403 0.713 O
0.734 0.545 0.901 O
0.002 0.703 0.113 O
0.249 0.653 0.705 O
0.999 0.907 0.714 O
0.002 0.190 0.100 O
0.889 0.468 0.500 O
0.001 0.810 0.900 O
0.765 0.045 0.900 O
0.503 0.103 0.291 O
0.268 0.545 0.899 O
0.753 0.846 0.293 O
0.505 0.057 0.500 O
0.755 0.347 0.791 Al
0.747 0.845 0.782 Al
0.001 0.097 0.785 Al
0.501 0.502 0.001 Al
0.250 0.152 0.209 Al
0.500 0.149 0.945 Al
0.252 0.656 0.219 Al
0.500 0.055 0.648 Al
0.001 0.650 0.949 Al
0.001 0.351 0.051 Al
0.000 0.448 0.358 Al
0.752 0.149 0.205 Al
0.249 0.346 0.788 Al
0.250 0.844 0.780 Al
0.755 0.655 0.218 Al
0.003 0.903 0.218 Al
0.499 0.598 0.784 Al
0.500 0.402 0.210 Al
0.504 0.953 0.354 Al
0.996 0.547 0.645 Al
0.500 0.848 0.048 Al
0.002 0.997 0.997 Al
0.549 0.309 0.478 Pr

=====

PBEsol Ni2HgRh, relaxed; total DFT energy (no corrections) = -4.9650 eV/atom; magnetization = 1.38 Bohr magnetons per cell
1.0

• To do:
The reader should type out only the lines earlier on with the word "RbIn2As2" in them.

• Solution:
PBEsol RbIn2As2, relaxed; total DFT energy (no corrections) = -3.6821 eV/atom; magnetization = 0.00 Bohr magnetons per cell